(Brief)
Count the lines underneath that contain the word "C4H6ClNOS" and give the number alone.
(Entries)
No. 1
{
  "formula": "C4H6ClN3",
  "method": "ωB97M-V with the def2-TZVPD basis set",
  "largest_force_ev_per_a": 4.9,
  "total_charge": 0,
  "orbital_gap_ha": 0.3009,
  "de_lowest_kcal_mol": 108.14,
  "energy_ha": -780.34298,
  "elements": ["N", "N", "N", "C", "C", "C", "C", "Cl", "H", "H", "H", "H", "H", "H"],
  "positions_angstrom": [[0.66954, 1.87676, 0.60346], [0.61509, 0.92246, -0.41688], [-0.67929, 0.68229, -0.90135], [-1.35404, -0.41456, -0.44764], [-0.82367, -1.54970, 0.00083], [0.60172, -1.46805, 0.20366], [1.23764, -0.30780, -0.03866], [2.97348, -0.14889, 0.16546], [0.30739, 2.71912, 0.20872], [0.23039, 1.73316, 1.52314], [-1.18446, 1.45270, -1.02593], [-2.45699, -0.44042, -0.62116], [-1.36865, -2.56371, 0.26458], [1.23185, -2.49336, 0.48178]]
}

***

No. 2
{
  "formula": "C4H6ClNO2",
  "method": "ωB97M-V with the def2-TZVPD basis set",
  "largest_force_ev_per_a": 3.1,
  "total_charge": 0,
  "orbital_gap_ha": [0.2910, 0.2482],
  "de_lowest_kcal_mol": 101.98,
  "energy_ha": -821.31003,
  "elements": ["C", "C", "C", "C", "N", "O", "O", "Cl", "H", "H", "H", "H", "H", "H"],
  "positions_angstrom": [[0.02334, -0.33546, 0.96653], [0.13168, 0.80393, 0.06948], [-2.10705, -0.31213, 0.08649], [2.03879, 0.11790, -1.12733], [-1.34965, -0.63366, 1.13615], [0.92629, -1.08232, 1.41841], [1.26123, 1.19328, -0.47659], [-3.71335, 0.14409, 0.38227], [-0.73560, 1.58484, 0.24200], [-1.56869, 0.05845, -0.79281], [1.53424, -0.91793, -0.91493], [3.08547, 0.11105, -0.70095], [2.06863, 0.40687, -2.26082], [-1.59533, -1.13893, 1.97210]]
}

***

No. 3
{
  "formula": "C4H6ClNOS",
  "method": "ωB97M-V with the def2-TZVPD basis set",
  "largest_force_ev_per_a": 3.6,
  "total_charge": 0,
  "orbital_gap_ha": 0.3433,
  "de_lowest_kcal_mol": 64.68,
  "energy_ha": -1144.30533,
  "elements": ["C", "C", "O", "C", "C", "Cl", "N", "S", "H", "H", "H", "H", "H", "H"],
  "positions_angstrom": [[-2.17407, 0.14437, -0.74304], [-1.64999, -1.01732, -0.25521], [-0.42028, -1.22644, 0.31336], [0.41648, -0.21575, 0.38084], [1.80469, -0.67051, 0.68723], [2.89354, -1.04417, -0.69583], [0.14843, 0.99678, 0.05733], [1.41581, 2.12620, -0.14239], [-3.16902, 0.18763, -1.07164], [-1.62415, 1.14866, -0.75958], [-2.31032, -1.93236, -0.14243], [1.80711, -1.62848, 1.15056], [2.41751, -0.00663, 1.32042], [0.44428, 3.13803, -0.09960]]
}

***

No. 4
{
  "formula": "C4H6ClNOS",
  "method": "ωB97M-V with the def2-TZVPD basis set",
  "largest_force_ev_per_a": 6.0,
  "total_charge": 0,
  "orbital_gap_ha": 0.2800,
  "de_lowest_kcal_mol": 147.80,
  "energy_ha": -1144.17287,
  "elements": ["C", "C", "C", "C", "H", "H", "H", "H", "H", "H", "N", "O", "S", "Cl"],
  "positions_angstrom": [[-0.89576, 1.48648, 0.07120], [0.17865, 0.59407, 0.23054], [0.26529, -0.56960, -0.70793], [-0.75036, -0.96902, -1.95367], [-1.95768, 3.08633, 0.91246], [-0.67634, 2.19578, 1.98928], [-1.43370, 1.51774, -0.80466], [-0.24632, -0.61407, -3.27086], [-0.98531, -2.23954, -2.02510], [-2.51240, -0.50099, -0.46264], [-1.11764, 2.45618, 1.04471], [-2.02723, -0.34404, -1.74544], [1.49328, -1.53695, -0.41262], [0.89257, 0.20314, 1.82783]]
}

***

No. 5
{
  "formula": "C4H6ClNS",
  "method": "ωB97M-V with the def2-TZVPD basis set",
  "largest_force_ev_per_a": 6.3,
  "total_charge": 0,
  "orbital_gap_ha": 0.2931,
  "de_lowest_kcal_mol": 32.10,
  "energy_ha": -1069.08744,
  "elements": ["C", "C", "N", "C", "Cl", "C", "S", "H", "H", "H", "H", "H", "H"],
  "positions_angstrom": [[-2.04086, 1.35692, 0.08411], [-0.63392, 1.00381, -0.04400], [0.28982, 1.86315, -0.11738], [-0.28280, -0.34402, 0.16295], [-1.66752, -1.39260, -0.06846], [1.06470, -0.80228, 0.10274], [2.64528, -0.20405, -0.02934], [-2.63986, 0.77414, -0.62878], [-2.47999, 0.90826, 0.87020], [-2.33501, 2.44725, -0.08526], [1.27167, 1.58036, -0.06923], [0.27935, 2.84288, 0.26661], [1.25574, -1.94256, 0.26667]]
}

***

No. 6
{
  "formula": "C4H6ClNS",
  "method": "ωB97M-V with the def2-TZVPD basis set",
  "largest_force_ev_per_a": 3.0,
  "total_charge": 0,
(Worked solution)
2